Job
Your job: count the lines further below that contain the word "PBE-GGA" and give the number alone.
Listing
********
The following is a DFT calculation (PBE-GGA) of a relaxed NaHfTaSiP2O12 crystal.

```
NaHfTaSiP2O12
1.0
-7.323 -1.826 4.617
5.689 -6.464 -2.010
11.390 3.919 19.615
Na Hf Ta Si P O
6 6 6 6 12 72
Cartesian
5.685 1.919 9.782
11.386 3.880 19.586
6.484 -0.141 18.737
0.815 -2.093 8.912
3.213 -4.266 3.449
8.943 -2.297 13.235
2.387 -6.892 9.551
8.094 -4.930 19.352
4.813 -0.715 15.914
-0.808 -2.655 6.059
1.565 -4.792 0.606
7.277 -2.828 10.403
13.034 -3.936 10.663
0.036 -7.716 5.460
8.175 0.476 21.607
2.458 -1.488 11.812
4.860 -3.683 6.353
10.642 -1.702 16.106
1.688 -4.914 6.764
5.269 -3.482 17.905
1.528 -1.608 15.192
0.090 -2.506 2.701
12.279 1.095 17.426
4.440 -1.399 8.971
6.424 -5.988 4.224
4.488 -0.886 4.332
8.079 0.549 15.466
9.012 -4.803 15.991
4.141 1.294 13.105
5.293 -2.955 13.281
-2.495 -5.436 4.793
-3.673 -1.193 4.633
9.683 -1.840 19.506
13.424 -3.190 17.614
5.642 -5.669 9.122
8.200 -2.749 7.043
2.118 0.628 6.853
1.993 -5.478 8.231
-2.665 -1.743 10.109
8.686 1.627 16.350
6.616 -3.787 18.715
3.293 1.460 19.510
7.583 -5.018 15.387
7.824 1.106 14.020
12.424 -2.739 12.052
1.053 -6.114 5.823
3.143 -0.601 3.574
6.505 -5.827 2.668
2.993 -1.403 15.821
4.437 0.770 14.497
5.496 -1.964 14.419
-1.926 -4.354 5.700
-2.400 -1.474 5.409
0.020 -2.683 4.297
-1.430 -2.718 2.082
-2.769 -4.866 3.362
-3.854 -2.218 3.459
3.544 0.166 12.193
3.963 -2.648 12.516
1.628 -1.416 13.552
11.066 -1.673 20.134
12.563 0.499 18.891
13.614 -2.228 18.771
6.242 -4.606 10.021
5.804 -1.726 9.755
8.173 -2.934 8.559
6.785 -2.942 6.428
5.380 -5.114 7.682
4.297 -2.496 7.727
11.633 -0.128 16.500
12.087 -2.902 16.851
9.742 -1.665 17.962
9.204 -3.759 6.478
4.351 -6.188 9.761
4.504 0.114 8.434
11.275 2.341 17.564
14.631 -3.086 16.678
9.169 -3.228 19.898
0.498 -0.469 15.792
5.469 1.766 12.428
5.194 -4.415 13.835
-1.481 -6.618 4.645
-4.910 -1.361 5.574
0.599 -0.983 2.329
4.326 0.658 17.412
6.784 0.057 16.099
5.337 -1.952 17.393
0.698 -3.649 6.920
-1.641 -2.583 8.013
0.197 -0.911 6.616
8.703 -0.765 20.080
6.368 -0.255 21.344
7.640 1.805 20.161
0.953 -0.401 10.978
3.150 -1.597 9.975
1.368 -3.133 11.306
1.146 -3.595 2.149
3.550 -4.155 0.817
2.059 -6.229 2.088
8.864 -3.993 11.196
6.507 -2.879 12.352
8.356 -1.258 11.002
5.455 -4.906 4.774
3.107 -4.434 6.048
4.415 -2.350 4.870
9.071 -0.650 15.333
11.284 -1.855 14.291
9.476 -3.364 15.638
```

E_tot: -8.209 eV/atom
energy relative to the elements: -3180 meV/atom



The following is a DFT calculation (PBE-GGA) of a relaxed Na6MgSi2Sn3P4O24 crystal.

```
Na6MgSi2Sn3P4O24
1.0
12.935 0.001 -8.695
0.005 8.989 0.006
-0.142 0.007 9.044
Na Mg Si Sn P O
12 2 4 6 8 48
Cartesian
3.251 6.740 -2.165
9.573 6.704 -2.105
9.716 2.246 -6.516
3.103 2.209 2.239
6.444 0.796 2.477
6.430 8.027 -2.165
-0.021 5.290 6.828
12.895 3.533 -6.516
10.354 8.281 -5.109
2.267 0.769 5.695
3.884 3.786 -0.765
8.737 5.263 1.351
1.336 2.202 -0.353
7.806 6.696 -4.697
8.316 8.084 1.133
4.519 0.904 -0.752
1.846 3.590 5.477
10.989 5.399 -5.096
1.274 6.757 4.164
11.480 6.777 0.695
11.552 2.258 -3.784
7.740 2.263 -0.186
5.009 2.283 5.039
5.087 6.752 0.567
12.794 8.608 -1.906
-0.008 0.410 2.296
6.324 4.113 2.439
6.462 4.905 -2.049
4.488 8.059 3.787
8.345 0.969 -3.403
10.953 3.566 -0.564
1.880 5.463 0.948
1.920 5.240 5.367
10.894 5.143 -0.561
10.968 3.742 -5.060
1.918 3.932 0.878
8.385 0.746 1.016
4.424 0.648 3.783
4.503 8.236 -0.710
8.388 8.427 -3.467
5.425 4.870 1.408
7.089 5.048 3.342
7.319 4.092 -1.040
5.631 3.957 -2.954
11.890 0.376 -2.943
0.619 0.553 7.686
0.853 8.586 3.310
12.101 8.452 -7.298
3.198 7.562 4.511
9.561 7.354 0.329
9.587 1.548 -4.145
3.280 1.628 -0.047
9.663 3.068 0.161
3.091 2.860 4.673
3.121 6.042 0.205
9.750 6.122 -4.391
4.473 7.725 2.265
8.262 7.759 2.705
8.320 1.362 -1.913
4.597 1.163 -2.403
10.939 3.231 -2.085
1.792 3.264 7.049
1.854 5.855 2.437
11.067 5.657 -6.747
5.718 7.549 4.503
6.985 7.445 0.366
7.103 1.537 -4.161
5.894 1.490 -0.056
12.184 3.055 0.153
0.515 2.950 4.711
0.638 6.030 0.189
12.364 5.985 -4.400
0.954 7.762 6.022
11.865 7.571 -1.209
********
Outcome
2